**Brief:**
The reader should write out the material further down from the line with "Ag2 0.0000" to the end verbatim.
**Listing:**
........
# ZnPd3Au2

An optimized crystal structure of ZnPd3Au2 (PBE, Alexandria).

a b c (Å): 4.576 13.662 3.080
angles (deg): 90.00 90.00 90.00
Space group Cmmm (No. 65)
Symmetry-distinct sites (fractional):
Zn: 0.000 0.000 0.000 (multiplicity 2)
Pd: 0.000 0.152 0.500 (multiplicity 4)
Pd: 0.000 0.500 0.500 (multiplicity 2)
Au: 0.000 0.328 0.000 (multiplicity 4)

Computed properties:
E_tot, eV per atom: -4.166
Formation energy from the elements, eV/atom: -0.264
Mass density, g cm⁻³: 13.43

----------

First-principles (PBE) data for a relaxed structure of SiTeMoRh, as listed in Alexandria via LeMat-Bulk.

Unit cell a=7.5133 b=7.5133 c=7.5133 alpha=156.64 beta=155.59 gamma=34.04
Atoms (fractional coordinates):
1 Si 0.0000 0.0000 0.0000
2 Te 0.2492 0.7492 0.5000
3 Mo 0.6001 0.6001 0.0000
4 Rh 0.4061 0.4061 0.0000

Values from the calculation:
- excess energy over the best structure of this formula in the dataset (eV/atom) = 0.134
- calculated total energy (eV per atom) = -6.82
- formation energy without anion corrections (kJ/mol of atoms) = -13.0

----------

# 1
Density functional theory data (PBE with a Hubbard U) for an optimized crystal structure of LiVAgF6.

Lattice parameters (Å, degrees): 5.2579 5.2579 10.1213 90.00 90.00 120.00
Closest atoms and distances in Å follow each position.
Sites, in units of the cell vectors:
F1 0.6419 0.6184 0.1440  1 V 1.90, 1 Li 2.06
Li1 0.6667 0.3333 0.7500  6 F 2.06
Ag1 0.0000 0.0000 0.0000  6 F 2.43
F2 0.3581 0.9765 0.6440  1 V 1.90, 1 Li 2.06
Li2 0.3333 0.6667 0.2500  6 F 2.06
F3 0.9765 0.6184 0.3560  1 V 1.90, 1 Li 2.06
F4 0.3581 0.3816 0.8560  1 V 1.90, 1 Li 2.06
F5 0.3816 0.0235 0.1440  1 V 1.90, 1 Li 2.06
F6 0.6184 0.6419 0.6440  1 V 1.90, 1 Li 2.06
F7 0.0235 0.6419 0.8560  1 V 1.90, 1 Li 2.06
F8 0.9765 0.3581 0.1440  1 V 1.90, 1 Li 2.06
F9 0.3816 0.3581 0.3560  1 V 1.90, 1 Li 2.06
V1 0.3333 0.6667 0.7500  6 F 1.90
F10 0.0235 0.3816 0.6440  1 V 1.90, 1 Li 2.06
Ag2 0.0000 0.0000 0.5000  6 F 2.43
V2 0.6667 0.3333 0.2500  6 F 1.90
F11 0.6184 0.9765 0.8560  1 V 1.90, 1 Li 2.06
F12 0.6419 0.0235 0.3560  1 V 1.90, 1 Li 2.06

Properties
The density of states at the Fermi level comes out at 10.2 states/eV per cell. As for the electronic total energy: -4.98 eV/atom. The volume is 13.5 Å³/atom.

# 2
Density functional theory data (PBE with a Hubbard U) for an optimized crystal structure of LiVAgF2.

Lattice parameters (Å, degrees): 4.0057 5.7609 4.0057 90.00 90.00 90.00
Closest atoms and distances in Å follow each position.
Sites, in units of the cell vectors:
F1 0.5000 0.0000 0.0000  2 V 2.00
Ag1 0.0000 0.5000 0.0000  4 Li 2.83, 2 V 2.88
Li1 0.5000 0.5000 0.5000  4 Ag 2.83
V1 0.0000 0.0000 0.0000  4 F 2.00
F2 0.0000 0.0000 0.5000  2 V 2.00

Properties
The density of states at the Fermi level comes out at 2.1 states/eV per cell. As for the electronic total energy: -4.48 eV/atom. The energy above the most stable polymorph in this dataset comes out at 0.0000 eV/atom. The volume is 18.5 Å³/atom.

# 3
Density functional theory data (PBE with a Hubbard U) for an optimized crystal structure of Li2VAgF8.

Lattice parameters (Å, degrees): 4.6783 4.6705 6.8225 89.92 89.92 88.61
Closest atoms and distances in Å follow each position.
Sites, in units of the cell vectors:
F1 0.2738 0.2713 0.9994  1 V 1.82
V1 0.0000 0.0000 0.0000  6 F 1.82-1.90
F2 0.7262 0.7287 0.0006  1 V 1.82
F3 0.6895 0.6911 0.5001  2 Li 2.00, 1 Ag 2.07
Ag1 0.0000 0.0000 0.5000  2 F 2.07
Li1 0.5006 0.5006 0.2741  4 F 2.00-2.02
F4 0.3105 0.3089 0.4999  2 Li 2.00, 1 Ag 2.07
F5 0.8014 0.2010 0.2034  1 V 1.90, 1 Li 2.02
F6 0.1986 0.7990 0.2034  1 V 1.90, 1 Li 2.02
F7 0.1986 0.7990 0.7966  1 V 1.90, 1 Li 2.02
F8 0.8014 0.2010 0.7966  1 V 1.90, 1 Li 2.02
Li2 0.4994 0.4994 0.7259  4 F 2.00-2.02

Properties
The density of states at the Fermi level comes out at 0.3 states/eV per cell. As for the electronic total energy: -4.83 eV/atom. The volume is 12.4 Å³/atom.

# 4
........
**Reply:**
Ag2 0.0000 0.0000 0.5000  6 F 2.43
V2 0.6667 0.3333 0.2500  6 F 1.90
F11 0.6184 0.9765 0.8560  1 V 1.90, 1 Li 2.06
F12 0.6419 0.0235 0.3560  1 V 1.90, 1 Li 2.06

Properties
The density of states at the Fermi level comes out at 10.2 states/eV per cell. As for the electronic total energy: -4.98 eV/atom. The volume is 13.5 Å³/atom.

# 2
Density functional theory data (PBE with a Hubbard U) for an optimized crystal structure of LiVAgF2.

Lattice parameters (Å, degrees): 4.0057 5.7609 4.0057 90.00 90.00 90.00
Closest atoms and distances in Å follow each position.
Sites, in units of the cell vectors:
F1 0.5000 0.0000 0.0000  2 V 2.00
Ag1 0.0000 0.5000 0.0000  4 Li 2.83, 2 V 2.88
Li1 0.5000 0.5000 0.5000  4 Ag 2.83
V1 0.0000 0.0000 0.0000  4 F 2.00
F2 0.0000 0.0000 0.5000  2 V 2.00

Properties
The density of states at the Fermi level comes out at 2.1 states/eV per cell. As for the electronic total energy: -4.48 eV/atom. The energy above the most stable polymorph in this dataset comes out at 0.0000 eV/atom. The volume is 18.5 Å³/atom.

# 3
Density functional theory data (PBE with a Hubbard U) for an optimized crystal structure of Li2VAgF8.

Lattice parameters (Å, degrees): 4.6783 4.6705 6.8225 89.92 89.92 88.61
Closest atoms and distances in Å follow each position.
Sites, in units of the cell vectors:
F1 0.2738 0.2713 0.9994  1 V 1.82
V1 0.0000 0.0000 0.0000  6 F 1.82-1.90
F2 0.7262 0.7287 0.0006  1 V 1.82
F3 0.6895 0.6911 0.5001  2 Li 2.00, 1 Ag 2.07
Ag1 0.0000 0.0000 0.5000  2 F 2.07
Li1 0.5006 0.5006 0.2741  4 F 2.00-2.02
F4 0.3105 0.3089 0.4999  2 Li 2.00, 1 Ag 2.07
F5 0.8014 0.2010 0.2034  1 V 1.90, 1 Li 2.02
F6 0.1986 0.7990 0.2034  1 V 1.90, 1 Li 2.02
F7 0.1986 0.7990 0.7966  1 V 1.90, 1 Li 2.02
F8 0.8014 0.2010 0.7966  1 V 1.90, 1 Li 2.02
Li2 0.4994 0.4994 0.7259  4 F 2.00-2.02

Properties
The density of states at the Fermi level comes out at 0.3 states/eV per cell. As for the electronic total energy: -4.83 eV/atom. The volume is 12.4 Å³/atom.

# 4